Instructor's Guide - Prelim
Instructor's Guide - Prelim
Instructor's Guide - Prelim
By the end of the course, the students will be able to demonstrate knowledge, understanding and proficiency to/the:
PO1 - Demonstrate the ability to perform the competence, at the operational level under Table A-III/1 and some elements of Table
A-III/2 of the STCW Code.
PO2– Use appropriate techniques, skills and modern tools in the practice of the profession in order to remain globally competitive;
PO8 – communicate orally and in writing using both English and Filipino;
1 3.0 TFE1 In this week the topic coverages are the Introduction and STCW Standard principles
HOURS TFE2 regarding Watchkeeping. The lectures, exercises, and assessments will be based
TFE3 only on the topics mentioned. Below is the sequence of the activities:
DAY1-1.50 TFE6 The Motivation will have Time duration (TD) of 15mins.
hours TFE7 Show to the class a video presentation on the link below as an introduction
0.25 hour TFE8 to the course subject. V1.1 -
for the v=Pvxq9XumZyc
motivation, Think, pair and share
0.25 hour QUIZ form no. 1 Note: Limit the motivation only on the allotted time. The Instructor can cut, pause or
for the Assignment form no. 1 stop the video clips to process, relate, connect and emphasis important information
introductio concerning to the subject matter. For some reasons of time constraint, the
n, and A1.1 PPT motivation part can be skip to suffice the time need on the other activities.
1.0 hours
for the R147 Submission of the assignment of the students from the previous day. And it will be
lesson R12 checked and recorded.
proper R37 The Introduction will have Time duration (TD) of 15mins.
Present the lesson’s learning outcome/s.
Explain guidelines of how the students will be assessed on the particular
learning outcome/s.
Written assessment must be introduced at the end of discussion which will satisfy
the Learning Outcome.
Reminders: The topic coverages on the next session must be given to the students
for them to conduct an advance study/research and prepare themselves to the next
discussion and activities.
2 3.0 TFE1 In this week the topic coverages are the Traditional watchkeeping hour schedules,
HOURS TFE2 handing over a watch, taking over a watch, accepting watch, machineries needs to
TFE3 be monitor during engine room watch, precaution, things that the marine engineers
Data records, as found in the file:
┌──
Record 1
Entry from the Alexandria database: an optimized crystal structure of DyHo5Tm7 (GGA-PBE).

Cell and atoms, written as POSCAR:
```
DyHo5Tm7
1.0
-3.309 5.468 5.688
3.309 -5.468 5.688
3.309 5.468 -5.688
Dy Ho Tm
1 5 7
direct
0.000 0.000 0.000
0.031 0.036 0.458
0.031 0.573 0.995
0.305 0.805 0.500
0.578 0.036 0.005
0.578 0.573 0.542
0.224 0.554 0.670
0.307 0.307 0.000
0.386 0.056 0.330
0.613 0.613 0.000
0.725 0.056 0.670
0.805 0.305 0.500
0.884 0.554 0.330
```



Record 2
Entry from the Alexandria database: an optimized crystal structure of Dy4HoTm8 (GGA-PBE).

Cell and atoms, written as POSCAR:
```
Dy4HoTm8
1.0
3.601 2.079 8.931
-3.601 2.079 8.931
0.000 -4.158 8.931
Dy Ho Tm
4 1 8
direct
0.000 0.000 0.000
0.000 0.500 0.500
0.500 0.000 0.500
0.500 0.500 0.000
0.500 0.500 0.500
0.195 0.750 0.750
0.216 0.216 0.216
0.250 0.250 0.805
0.250 0.805 0.250
0.750 0.195 0.750
0.750 0.750 0.195
0.784 0.784 0.784
0.805 0.250 0.250
```



Record 3
Entry from the Alexandria database: an optimized crystal structure of Dy8HoTm6 (GGA-PBE).

Cell and atoms, written as POSCAR:
```
Dy8HoTm6
1.0
3.500 0.000 0.000
-0.004 8.510 0.000
-0.012 -1.869 15.643
Dy Ho Tm
8 1 6
direct
0.000 0.008 0.105
0.000 0.323 0.435
0.000 0.399 0.837
0.000 0.601 0.163
0.000 0.677 0.565
0.000 0.992 0.895
0.500 0.283 0.241
0.500 0.717 0.759
0.500 0.000 0.500
0.001 0.040 0.688
0.500 0.308 0.023
0.500 0.362 0.634
0.500 0.638 0.366
0.500 0.692 0.977
0.999 0.960 0.312
```



Record 4
Entry from the Alexandria database: an optimized crystal structure of DyHo5Tm (GGA-PBE).

Cell and atoms, written as POSCAR:
```
DyHo5Tm
1.0
9.139 0.000 0.000
0.000 3.564 0.000
-3.473 0.000 13.376
Dy Ho Tm
2 10 2
direct
0.104 0.250 0.109
0.896 0.750 0.891
0.003 0.750 0.381
0.198 0.250 0.875
0.334 0.250 0.511
0.354 0.750 0.723
0.412 0.750 0.076
0.588 0.250 0.924
0.646 0.250 0.277
0.666 0.750 0.489
0.802 0.750 0.125
0.997 0.250 0.619
0.334 0.750 0.301
0.666 0.250 0.699
```



Record 5
Entry from the Alexandria database: an optimized crystal structure of Dy12Ho7Tm (GGA-PBE).

Cell and atoms, written as POSCAR:
```
Dy12Ho7Tm
1.0
6.354 3.668 4.532
-6.354 3.668 4.532
0.000 -7.337 4.532
Dy Ho Tm
12 7 1
direct
0.020 0.352 0.083
0.083 0.020 0.352
└──
[WEEK 2 TFE4 must consider before handing over watch at port, and ways to master the engine
TFE5 room watchkeeping procedure. The lectures, exercises, and assessments will be
DAY1-1.50 TFE6 based only on the topics mentioned. Below is the sequence of the activities:
hours TFE7
0.25 hour TFE8 DAY 1
for the The Motivation will have Time duration (TD) of 15mins.
motivation, Crossword Puzzle Show to the class a video presentation on the link below, this is the actual
0.25 hour QUIZ form no. 2 watchkeeping routine in the engine. V2.1 -
for the Assignment form no. 2
n, and A1.2 PPT Note: Limit the motivation only on the allotted time. The Instructor can cut, pause or
1.0 hours stop the video clips to process, relate, connect and emphasis important information
for the R41 concerning to the subject matter. For some reasons of time constraint, the
lesson R46 motivation part can be skip to suffice the time need on the other activities.
proper R72
R84 Submission of the assignment of the students from the previous day. And it
R86 will be checked and recorded.
R89 The Introduction will have Time duration (TD) of 15mins.
R97 Present the lesson’s learning outcome/s.
R148 Explain guidelines of how the students will be assessed on the particular
R169 learning outcome/s.
R177 The Lesson Proper will have Time duration (TD) of 1.0hours.
R187 Classroom activity: Crossword Puzzle
R191 The crossword game transforms the boring lessons into a fun experience.
R193 Choose a list of words and their description and creates an interactive
R194 crossword. Give to the students the copy of the puzzle at the beginning of
R196 the lesson and let them answer puzzle while the discussion is on-going.
R215 This classroom activity will be done individually.
R228 Interactive discussion is about the traditional watchkeeping hour
R229 schedules, handing over a watch, taking over a watch, accepting watch,
R230 machineries needs to be monitor during engine room watch, precaution,
R13 things that the marine engineers must consider before handing over watch
R16 at port, and ways to master the engine room watchkeeping procedure. Use
DAY2-1.50 R25 power point presentation [A1.2 PPT] in this session.
1.2 hours DAY 2
for the The CONTINUATION of Lesson Proper will have Time duration (TD) of 1.2hours.
proper Reinforcement:
continuatio Formative exam about the traditional watchkeeping hour schedules,
handing over a watch, taking over a watch, accepting watch, machineries
needs to be monitor during engine room watch, precaution, the things that
the marine engineers must consider before handing over watch at port,
and ways to master the engine room watchkeeping procedure. Refer to
[Quiz 2.]
Assignment must be given to the student for additional reinforcement of the
corresponding topics
n and 0.3
hour for Written assessment must be introduced at the end of discussion which will satisfy
the quiz.] the Learning Outcome.
3 3.0 TFE1 In this week the topic coverages are the Definition, entries and important points
HOURS TFE2 in filling out Engine room log book . The lectures, exercises, and assessments
TFE3 will be based only on the topics mentioned. Below is the sequence of the
[WEEK 3 TFE4 activities:
DAY1-1.50 TFE6 DAY 1
hours TFE7 The Motivation will have Time duration (TD) of 15mins.
0.25 hour TFE8 Show to the class a video presentation on the link below, this is the actual
for the filling up engine room log book routine in the engine. V3.1 -
motivation, Brainstorming on the Board
0.25 hour QUIZ form no. 3
for the Assignment form no. 3 Note: Limit the motivation only on the allotted time. The Instructor can cut, pause or
introductio stop the video clips to process, relate, connect and emphasis important information
n, and A1.3 PPT concerning to the subject matter. For some reasons of time constraint, the
1.0 hours motivation part can be skip to suffice the time need on the other activities.
for the R137
lesson R254 Submission of the assignment of the students from the previous day. And it
proper R10 will be checked and recorded.
R24 The Introduction will have Time duration (TD) of 15mins.
Present the lesson’s learning outcome/s.
Explain guidelines of how the students will be assessed on the particular
learning outcome/s.
The Lesson Proper will have Time duration (TD) of 1.0hours.
Classroom activity: Brainstorming on the Board
Students call out concepts and terms related to a topic about to be
introduced; the instructor writes them on the board. If possible, group them
into categories as you record the responses. Works to gauge pre-existing
knowledge and focus attention on the subject.
Interactive discussion is about the definition, entries and important points
in filling out Engine room log book. Use power point presentation [A1.3
PPT] in this session.
The CONTINUATION of Lesson Proper will have Time duration (TD) of 1.2hours.
Formative exam about the definition, entries and important points in filling
out Engine room log book. Refer to [Quiz 3.]
Assignment must be given to the student for additional reinforcement of the
1.2 hours
corresponding topics.
for the
Written assessment must be introduced at the end of discussion which will satisfy
the Learning Outcome.
n and 0.3
WEEK 3 – DAY 2 0.30 hour
hour for
[Quiz 3.] to be given at the end of the discussion of LO 1.5, 1.6, 1.7 and LO
the quiz.]
Assignment no. 3 must be administered to the student to supplement the
discussion and to reinforce the retention of the topics.
Reminders: The topic coverages on the next session must be given to the students
for them to conduct an advance study/research and prepare themselves to the next
discussion and activities.
DAY2-1.50 DAY 2
hours Summative Written assessment must be introduced at the end of the preliminary